**Wanted:**
It remains to count the lines further down that contain the word "N2" and give the number alone.
**Given:**
┌──
C20H38BrNO6PS3 | ωB97M-V/def2-TZVPD

Each line ends with the Mulliken charge.
Cartesian coordinates (Å):
1 Br -4.30832 2.59959 3.27364  0.0145
2 P -2.20733 3.35108 2.85507  0.1394
3 C -1.47333 2.81308 1.17668  -0.5642
4 C -2.44260 1.86153 0.26103  -0.5081
5 C -2.68393 0.34684 0.83620  -0.1281
6 C -1.41996 -0.30259 1.65175  -0.6220
7 N -0.28991 -0.81603 0.77538  0.4034
8 C -0.10104 -0.82966 -0.72602  -0.3290
9 C 1.39470 -1.49534 -0.98218  -0.2808
10 C 2.10324 -1.92228 0.45756  -0.4790
11 C 0.91503 -1.44542 1.50604  -0.4213
12 H -2.23080 4.81985 2.84871  0.2568
13 H -1.34602 2.94657 3.97268  0.2350
14 H -0.41227 2.33753 1.40348  0.2324
15 H -1.25435 3.79081 0.52924  0.4869
16 H -3.51383 2.38533 0.24767  0.4043
17 H -2.06022 1.90282 -0.86372  0.2846
18 H -3.69946 0.31802 1.44017  -0.1224
19 H -2.86743 -0.35037 -0.11391  0.2926
20 H -1.84056 -1.24576 2.25059  0.3527
21 H -0.93551 0.39478 2.46010  0.2693
22 H -0.89822 -0.42447 -1.48112  0.2185
23 H 1.85730 -1.61923 -2.06197  0.4680
24 H 3.15747 -2.40533 0.65637  0.2464
25 H 1.02722 -1.56730 2.68823  0.2600
26 C 2.06249 3.97899 -2.11914  -0.7346
27 C 3.45048 4.60981 -2.01842  -0.6469
28 C 3.64062 5.07180 -0.57464  -0.6374
29 S 2.63034 3.99544 0.43156  1.2073
30 O 1.57280 4.78276 1.02979  -0.6740
31 O 3.48928 3.12880 1.21361  -0.6892
32 C 1.94094 3.05538 -0.91626  0.0858
33 H 1.93105 3.43454 -3.05878  0.3810
34 H 1.29619 4.76185 -2.07062  0.3076
35 H 4.21084 3.86016 -2.26902  0.2835
36 H 3.56808 5.44302 -2.71830  0.3444
37 H 4.68405 4.98942 -0.26003  0.3446
38 H 3.28853 6.09729 -0.43291  0.3494
39 H 0.90996 2.77828 -0.68980  -0.1960
40 H 2.55292 2.15771 -1.04558  0.2609
41 C -7.16666 -1.49894 2.43706  -0.5030
42 C -7.78542 -2.55935 1.52754  -0.6381
43 C -6.63926 -3.29796 0.83846  -0.6402
44 S -5.24179 -3.19699 1.94685  1.0348
45 O -4.21092 -2.39913 1.31688  -0.5456
46 O -4.97654 -4.50977 2.50065  -0.6891
47 C -6.04594 -2.20255 3.18784  -0.6800
48 H -7.90393 -1.07209 3.12325  0.3584
49 H -6.75726 -0.68349 1.82889  0.2234
50 H -8.36752 -3.26460 2.13312  0.3015
51 H -8.46678 -2.11620 0.79455  0.3396
52 H -6.88651 -4.34756 0.66036  0.3355
53 H -6.36090 -2.81583 -0.10268  0.3582
54 H -5.32922 -1.51209 3.63567  0.3641
55 H -6.44594 -2.87775 3.95018  0.3529
56 C 5.89159 -2.23439 -1.44059  -0.0125
57 C 6.12777 -3.61352 -2.05445  -0.6864
58 C 5.11455 -3.79247 -3.18380  -0.6345
59 S 4.74319 -2.15219 -3.78648  1.0750
60 O 3.35545 -1.85826 -3.49681  -0.6651
61 O 5.31010 -1.99094 -5.11052  -0.6953
62 C 5.76203 -1.27663 -2.61560  -0.6593
63 H 6.70676 -1.94240 -0.77210  0.3747
64 H 4.96222 -2.24297 -0.85868  -0.2062
65 H 7.14539 -3.66250 -2.46064  0.3191
66 H 6.03326 -4.40968 -1.30941  0.3452
67 H 5.52302 -4.39512 -3.99896  0.3575
68 H 4.18473 -4.23856 -2.82033  0.3645
69 H 5.29275 -0.32858 -2.34737  0.3103
70 H 6.73333 -1.09678 -3.08601  0.3446

Output
* gap between HOMO and LUMO: 4.7 eV
* energy above the lowest of the compared OMol25 structures with the same formula, charge and spin: 146.8 kcal/mol
* net charge: +1
* LUMO level: -4.99 eV

----------

Entry 1:
# C3H8N2

An isolated ion of composition C3H8N2 and charge -1 in a non-equilibrium geometry (wB97M-V/def2-TZVPD, the Open Molecules 2025 dataset).

Values from the calculation:
Molecular weight = 72.111 g mol⁻¹
DFT total energy = -6218.46156 eV
Energy relative to the best compared isomer or geometry (same formula, charge and spin) = 64.5 kJ/mol
Gap between HOMO and LUMO (alpha / beta) = 2.81 / 7.09 eV
LUMO (alpha / beta) = 0.1623 / 0.1578 hartree
HOMO level (alpha / beta) = 1.61 / -2.80 eV
Total charge = -1
Multiplicity = 2

Positions of all 13 atoms, in Å:
C1 -1.0373 0.5976 -1.4452
C2 -0.6905 -0.5065 -0.4397
N1 -0.1565 0.0750 0.7695
C3 1.2157 0.0710 0.9955
N2 1.6957 0.1483 2.2546
H1 -1.7871 1.2642 -1.0292
H2 -0.1108 1.0855 -1.7400
H3 -1.4697 0.1615 -2.3599
H4 0.0724 -1.1957 -0.8316
H5 -1.5841 -1.1066 -0.2471
H6 -0.6378 -0.0204 1.6592
H7 1.8189 -0.4220 0.2152
H8 2.6709 -0.1518 2.1987

Forces on atoms 1 to 3 (eV/Å):
C 0.076 -1.059 -0.642
└──
**Reply:**
1